Chamber to verify fund raisers

Published 12:00 am Wednesday, June 4, 2003

A new Pike County Chamber of Commerce program may help businesses make better decisions about donations.

The Chamber's plan would create a solicitations clearinghouse of sorts, allowing chamber staff to verify fund raisers.

&uot;We would encourage everyone who does a fund raiser in the county to register with the chamber so that if there are any questions about the legitimacy of it, we can provide that information,&uot; said Dr. Jean Laliberte, the chairperson of the chamber's board of directors.

While the chamber isn't trying to discourage groups from fund raising efforts, chamber president Jenniffer Barner said it was a service they could provide the businesses in Pike County.

&uot;If they check in with the chamber, we can call and verify the company and determine if its legitimate, or if the funds are going to the organization they say they represent,&uot; Barner said.

The concept stemmed from several incidents of fraudulent or misrepresented funds raising incidents over the past several years. In those incidents most, or all, of the funds that were raised did not make it to the implied beneficiary organizations.

# Crystal structures from another source follow
-- begin --
(1)
Theoretical XRD peak list of KTcMoO6 for Cu Kα, from a DFT-relaxed cell (GGA+U, Alexandria).

The 6 most intense peaks (2θ = 15–90°), by angle:
2theta  Rel. int.
19.25  25
24.47  100
33.68  36
37.03  35
42.07  15
45.85  54

Atomic structure:
```
KTcMoO6
1.0
5.3177 0.0000 0.0000
2.6585 4.6143 0.0000
0.0072 0.0009 5.9197
K Tc Mo O
1 1 1 6
direct
0.0000 0.0000 0.0000
0.6665 0.6671 0.5290
0.3333 0.3330 0.4837
0.0046 0.4029 0.6961
0.3895 0.9989 0.3266
0.4033 0.5920 0.6961
0.5929 0.0041 0.6959
0.6116 0.3896 0.3266
0.9988 0.6111 0.3264
```

---

(2)
Theoretical XRD peak list of KTc2MoO8 for Cu Kα, from a DFT-relaxed cell (GGA+U, Alexandria).

The 6 most intense peaks (2θ = 15–90°), by angle:
2theta  Rel. int.
21.26  100
29.84  40
30.65  47
43.30  20
49.26  19
58.92  17

Atomic structure:
```
KTc2MoO8
1.0
5.8347 0.0000 0.0000
-2.9174 5.0530 0.0000
0.0000 0.0000 7.4339
K Tc Mo O
1 2 1 8
direct
0.0000 0.0000 0.0000
0.3333 0.6667 0.7502
0.6667 0.3333 0.2498
0.0000 0.0000 0.5000
0.1640 0.8329 0.6694
0.1671 0.3312 0.6694
0.3312 0.1640 0.3306
0.3333 0.6667 0.9852
0.6667 0.3333 0.0148
0.6688 0.8360 0.6694
0.8329 0.6688 0.3306
0.8360 0.1671 0.3306
```

---

(3)
Theoretical XRD peak list of K4ThMo4O16 for Cu Kα, from a DFT-relaxed cell (GGA+U, Alexandria).

The 6 most intense peaks (2θ = 15–90°), by angle:
2theta  Rel. int.
18.02  26
23.50  25
26.83  23
27.33  100
43.70  25
47.69  19

Atomic structure:
```
K4ThMo4O16
1.0
-5.9233 5.9233 6.6462
5.9233 -5.9233 6.6462
5.9233 5.9233 -6.6462
K Th Mo O
8 2 8 32
direct
0.0452 0.6557 0.9148
0.1557 0.7410 0.6105
0.2410 0.1305 0.5852
0.3695 0.4548 0.1105
0.6305 0.5452 0.8895
0.7590 0.8695 0.4148
0.8443 0.2590 0.3895
0.9548 0.3443 0.0852
0.3750 0.1250 0.2500
0.6250 0.8750 0.7500
0.0444 0.0275 0.8381
0.2937 0.4556 0.4831
0.3105 0.7937 0.3381
0.4725 0.8105 0.0169
0.5275 0.1895 0.9831
0.6895 0.2063 0.6619
0.7063 0.5444 0.5169
0.9556 0.9725 0.1619
0.0887 0.2213 0.9356
0.0956 0.3970 0.3870
0.1030 0.9899 0.6986
0.1404 0.9794 0.9843
0.1616 0.0851 0.2830
0.2087 0.5956 0.1986
0.2143 0.8469 0.4356
0.2787 0.7143 0.8674
0.3021 0.8786 0.2170
0.3439 0.3596 0.3390
0.3469 0.4113 0.6326
0.3786 0.6616 0.5765
0.4149 0.1979 0.0765
0.4794 0.9951 0.8390
0.4899 0.2913 0.8870
0.4951 0.1561 0.5157
0.5049 0.8439 0.4843
0.5101 0.7087 0.1130
0.5206 0.0049 0.1610
0.5851 0.8021 0.9235
0.6214 0.3384 0.4235
0.6531 0.5887 0.3674
0.6561 0.6404 0.6610
0.6979 0.1214 0.7830
0.7213 0.2857 0.1326
0.7857 0.1531 0.5644
0.7913 0.4044 0.8014
0.8384 0.9149 0.7170
0.8596 0.0206 0.0157
0.8970 0.0101 0.3014
0.9044 0.6030 0.6130
0.9113 0.7787 0.0644
```

---

(4)
Theoretical XRD peak list of K6U2Mo4O21 for Cu Kα, from a DFT-relaxed cell (GGA+U, Alexandria).

The 6 most intense peaks (2θ = 15–90°), by angle:
2theta  Rel. int.
15.20  100
23.43  38
24.78  41
25.15  57
26.63  56
27.51  52

Atomic structure:
```
K6U2Mo4O21
1.0
7.9171 0.0000 0.0000
1.2930 8.0402 0.0000
0.9549 3.4877 10.0405
K U Mo O
6 2 4 21
direct
0.0714 0.1126 0.2194
0.2893 0.6597 0.4808
-- stop --

&uot;We've been aware that in the past, outside organizations have tried to piggy back on (local) organizations to raise money for private enterprise,&uot; Laliberte said.

She cited examples from local school organizations raising funds, only to have a private company come behind them with a

similar fund raiser claiming the proceeds would benefit a particular school.

&uot;We want to know that the money is staying in Pike County,&uot; Barner said.

Under the program, organizations that engage in fund raising campaigns could notify the chamber of their activities and the chamber could then issue a letter verifying the organization's intent. That letter could then be shown to donors, or, Barner said, donors who had questions concerning a fund raiser could initiate contact with the chamber and have them investigate the organization.

&uot;The only thing we're attempting to do is keep businesses from trying to mislead customers,&uot; Laliberte said. &uot;As long as everything is above board there should be no problem.&uot;

Dianna Lee, who handles solicitations for Troy Bank & Trust, sees a

minimum of 40 donation requests a month.

&uot; I make it a practice to verify all fund raising requests,&uot; she said. &uot;If its footballs for the cheerleaders, I call the cheerleader sponsor to make sure they actually need the footballs, or if there's some greater need.&uot;

Lee said the chamber's program would help in making decisions about donations for her bank.

&uot;It's hard to take people at their word, especially if its not a local person soliciting,&uot; she said. &uot;(The chamber's program) would be great. That would be one less step for me if they would go ahead and verify that it's a legitimate request and a legitimate organization.

&uot;It's not that we mind giving money - we pride ourselves on our community sponsorships -

Records of crystals from another source follow
=====
1.
Computed powder X-ray diffraction pattern
Compound: K3Nb3Si2O13
Radiation: Cu Kα
Structure: a GGA-PBE-relaxed structure

Structural model:
Cell lengths 9.2574, 9.2574, 7.9245 Å; angles 90.00, 90.00, 120.00 degrees
Atoms (fractional coordinates):
1 K 0.0000 0.5955 0.0000
2 K 0.0000 0.6105 0.5000
3 K 0.3895 0.3895 0.5000
4 K 0.4045 0.4045 0.0000
5 K 0.5955 0.0000 0.0000
6 K 0.6105 0.0000 0.5000
7 Nb 0.0000 0.2379 0.2496
8 Nb 0.0000 0.2379 0.7504
9 Nb 0.2379 0.0000 0.2496
10 Nb 0.2379 0.0000 0.7504
11 Nb 0.7621 0.7621 0.2496
12 Nb 0.7621 0.7621 0.7504
13 Si 0.3333 0.6667 0.2910
14 Si 0.3333 0.6667 0.7090
15 Si 0.6667 0.3333 0.2910
16 Si 0.6667 0.3333 0.7090
17 O 0.0000 0.2322 0.0000
18 O 0.0000 0.2704 0.5000
19 O 0.0000 0.8261 0.2654
20 O 0.0000 0.8261 0.7346
21 O 0.1739 0.1739 0.2654
22 O 0.1739 0.1739 0.7346
23 O 0.1828 0.4866 0.2291
24 O 0.1828 0.4866 0.7709
25 O 0.2322 0.0000 0.0000
26 O 0.2704 0.0000 0.5000
27 O 0.3038 0.8172 0.2291
28 O 0.3038 0.8172 0.7709
29 O 0.3333 0.6667 0.5000
30 O 0.4866 0.1828 0.2291
31 O 0.4866 0.1828 0.7709
32 O 0.5134 0.6962 0.2291
33 O 0.5134 0.6962 0.7709
34 O 0.6667 0.3333 0.5000
35 O 0.6962 0.5134 0.2291
36 O 0.6962 0.5134 0.7709
37 O 0.7296 0.7296 0.5000
38 O 0.7678 0.7678 0.0000
39 O 0.8172 0.3038 0.2291
40 O 0.8172 0.3038 0.7709
41 O 0.8261 0.0000 0.2654
42 O 0.8261 0.0000 0.7346

Principal peaks in the range 10° ≤ 2θ ≤ 90°, sorted by position:
| 2theta | d (Å) | intensity |
| --- | --- | --- |
| 11.04 | 8.017 | 26 |
| 19.17 | 4.629 | 38 |
| 22.44 | 3.962 | 38 |
| 29.48 | 3.030 | 100 |
| 29.68 | 3.010 | 75 |
| 31.75 | 2.818 | 32 |
| 45.80 | 1.981 | 23 |
| 51.07 | 1.789 | 21 |
| 55.05 | 1.668 | 21 |
| 55.41 | 1.658 | 31 |

2.
Computed powder X-ray diffraction pattern
Compound: K4Nb2Si8O23
Radiation: Cu Kα
Structure: a GGA-PBE-relaxed structure

Structural model:
Cell lengths 6.8511, 7.9976, 11.1201 Å; angles 76.07, 89.77, 72.01 degrees
Atoms (fractional coordinates):
1 K 0.1719 0.3116 0.3572
2 K 0.2217 0.2525 0.0238
3 K 0.7783 0.7475 0.9762
4 K 0.8281 0.6884 0.6428
5 Nb 0.2867 0.7193 0.8007
6 Nb 0.7133 0.2807 0.1993
7 Si 0.0206 0.1766 0.7279
8 Si 0.3250 0.6957 0.4862
9 Si 0.3271 0.7010 0.1208
10 Si 0.4779 0.0956 0.7195
11 Si 0.5221 0.9044 0.2805
12 Si 0.6729 0.2990 0.8792
13 Si 0.6750 0.3043 0.5138
14 Si 0.9794 0.8234 0.2721
15 O 0.0553 0.9623 0.7570
16 O 0.0825 0.7425 0.1548
17 O 0.1132 0.5929 0.8547
18 O 0.1284 0.7004 0.3990
19 O 0.2349 0.2255 0.7048
20 O 0.2483 0.7253 0.6178
21 O 0.3474 0.7473 0.9728
22 O 0.4114 0.8448 0.1734
23 O 0.4233 0.8524 0.4149
24 O 0.4483 0.4893 0.1871
25 O 0.4939 0.1167 0.2446
26 O 0.5000 0.5000 0.5000
27 O 0.5061 0.8833 0.7554
28 O 0.5517 0.5107 0.8129
29 O 0.5767 0.1476 0.5851
30 O 0.5886 0.1552 0.8266
31 O 0.6526 0.2527 0.0272
32 O 0.7517 0.2747 0.3822
33 O 0.7651 0.7745 0.2952
34 O 0.8716 0.2996 0.6010
35 O 0.8868 0.4071 0.1453
36 O 0.9175 0.2575 0.8452
37 O 0.9447 0.0377 0.2430

Principal peaks in the range 10° ≤ 2θ ≤ 90°, sorted by position:
| 2theta | d (Å) | intensity |
=====

but it's important to verify the requests because we want to give to the (community organizations) who have the needs.&uot;